[What to do]
Print only the lines underneath with the word "intense" in them, please.
[Entries]
=====
Starting from the GGA-PBE geometry in Alexandria, the powder diffractogram of ZrMn6Sn6 was calculated for a wavelength of 1.5418 Å.
Peak positions follow from Bragg's law for the DFT cell and can differ from measured ones.

Peak list (10 most intense, 10 to 90 degrees two-theta, most intense first)
two_theta  d (Å)  I (rel.)
33.18  2.700  100
38.96  2.312  79
43.68  2.072  71
35.71  2.515  38
72.39  1.305  37
69.64  1.350  31
40.32  2.237  26
38.50  2.338  24
44.92  2.018  22
59.27  1.559  20

Cell: 5.4004 5.4004 8.9474 Å, 90.00 90.00 120.00°
Fractional positions:
Zr: 0.0000 0.0000 0.0000
Mn: 0.0000 0.5000 0.2476
Mn: 0.0000 0.5000 0.7524
Mn: 0.5000 0.0000 0.2476
Mn: 0.5000 0.0000 0.7524
Mn: 0.5000 0.5000 0.2476
Mn: 0.5000 0.5000 0.7524
Sn: 0.0000 0.0000 0.3279
Sn: 0.0000 0.0000 0.6721
Sn: 0.3333 0.6667 0.0000
Sn: 0.3333 0.6667 0.5000
Sn: 0.6667 0.3333 0.0000
Sn: 0.6667 0.3333 0.5000

=====

Starting from the GGA-PBE geometry in Alexandria, the powder diffractogram of Tb3PS was calculated for a wavelength of 1.5418 Å.
Peak positions follow from Bragg's law for the DFT cell and can differ from measured ones.

Peak list (10 most intense, 10 to 90 degrees two-theta, most intense first)
two_theta  d (Å)  I (rel.)
37.29  2.411  100
27.40  3.255  86
24.80  3.589  31
48.44  1.879  26
62.68  1.482  22
55.17  1.665  21
58.75  1.572  21
82.97  1.164  20
72.88  1.298  16
56.55  1.627  12

Cell: 6.5099 6.5099 3.5894 Å, 90.00 90.00 120.00°
Fractional positions:
Tb: 0.0041 0.3357 0.0000
Tb: 0.3317 0.9959 0.0000
Tb: 0.6643 0.6683 0.0000
P: 0.3333 0.6667 0.5000
S: 0.0000 0.0000 0.5000

=====

Starting from the GGA-PBE geometry in Alexandria, the powder diffractogram of CsAg4Cl7 was calculated for a wavelength of 1.5418 Å.
Peak positions follow from Bragg's law for the DFT cell and can differ from measured ones.

Peak list (10 most intense, 10 to 90 degrees two-theta, most intense first)
two_theta  d (Å)  I (rel.)
23.93  3.719  100
28.99  3.080  100
34.09  2.630  68
35.54  2.526  55
45.34  2.000  54
46.50  1.953  48
58.90  1.568  45
21.44  4.145  41
19.53  4.546  39
50.07  1.822  38

Cell: 10.8843 10.8843 10.8843 Å, 152.04 43.69 147.12°
Fractional positions:
Cs: 0.0000 0.0000 0.0000
Ag: 0.2377 0.4934 0.7444
Ag: 0.3767 0.9986 0.3781
Ag: 0.6205 0.9986 0.6219
Ag: 0.7490 0.4934 0.2556
Cl: 0.1141 0.4915 0.6227
Cl: 0.2454 0.9933 0.2522
Cl: 0.3629 0.4934 0.8695
Cl: 0.4928 0.9928 0.5000
Cl: 0.6239 0.4934 0.1305
Cl: 0.7411 0.9933 0.7478
Cl: 0.8688 0.4915 0.3773

=====

Starting from the GGA-PBE geometry in Alexandria, the powder diffractogram of ScSnHg2 was calculated for a wavelength of 1.5418 Å.
Peak positions follow from Bragg's law for the DFT cell and can differ from measured ones.

Peak list (10 most intense, 10 to 90 degrees two-theta, most intense first)
two_theta  d (Å)  I (rel.)
35.01  2.563  100
39.00  2.309  82
=====
[Response]
Peak list (10 most intense, 10 to 90 degrees two-theta, most intense first)
Peak list (10 most intense, 10 to 90 degrees two-theta, most intense first)
Peak list (10 most intense, 10 to 90 degrees two-theta, most intense first)
Peak list (10 most intense, 10 to 90 degrees two-theta, most intense first)